Saturday, October 11, 2014

DIY Menu Board

My husband and I are terrible planners!!  Our idea of planning ahead for dinner is asking the other "What's for dinner?" at 4:00 each day. As you can imagine, this impacts our budget in a big way. Finally, I said no more!  So, each Sunday for the last 4 weeks, we've sat down and made a meal plan for the week. And, a grocery list to go with it. I'm pretty impressed with how well we've stuck to it. Of course, in about 3 weeks, 6' Wonder's high school basketball season will be starting and life will be crazy again. If we can stick to it during those 4 months, we will have earned a prize!  

Now that we've got the planning portion of it worked out, we need to get the communication portion worked out. What we've been doing is using the Notes app on my phone. I love this app, it's convenient and easy to use. I'll still use it, but I need a way to help us both remember what we planned, and let 6' Wonder know what the plan is as well. 

As usual, whatever I do has to be CHEAP!  In this case, I'm going for F R E E. 

What I used:
Large cork bulletin board
Black spray paint
Brown craft paper
Mod Podge
Wood clothespins
Scrapbook paper
Elmer's Glue
Thumb tacks
Plastic box the thumb tacks came in
Burlap ribbon
Satin ribbon
Hot glue gun/glue

Materials data, as found in the file:
[1]
Below is an optimized crystal structure of Na6V2C4SO16, with properties calculated at the PBE with a Hubbard U level.

Cell: 14.154 14.154 14.154 Å, 90.00 90.00 90.00°
Space group Fd-3 (No. 203, origin choice 2)
Asymmetric unit:
Na: 0.091 0.375 0.375 x48
V: 0.000 0.000 0.500 x16
C: 0.031 0.031 0.719 x32
S: 0.125 0.125 0.125 x8
O: 0.019 0.100 0.779 x96
O: 0.064 0.064 0.064 x32

Summary:
The calculation puts the magnetic moment at 48.005 μB/cell. The calculation puts the raw total energy at -1546.4 eV for the cell shown. Its energy of formation is -2116.3 meV per atom.

---

[2]
Below is an optimized crystal structure of MgU2Cr2O16, with properties calculated at the PBE with a Hubbard U level.

Cell: 10.711 15.563 8.261 Å, 90.00 90.00 90.00°
Space group Pnma (No. 62)
Asymmetric unit:
Mg: 0.192 0.250 0.050 x4
U: 0.181 0.501 0.986 x8
Cr: 0.043 0.050 0.644 x8
O: 0.006 0.250 0.986 x4
O: 0.008 0.520 0.156 x8
O: 0.021 0.150 0.620 x8
O: 0.101 0.004 0.446 x8
O: 0.124 0.750 0.620 x4
O: 0.156 0.250 0.296 x4
O: 0.175 0.614 0.935 x8
O: 0.186 0.115 0.041 x8
O: 0.204 0.035 0.713 x8
O: 0.246 0.250 0.810 x4

Summary:
The calculation puts the magnetic moment at 32.908 μB/cell. The calculation puts the raw total energy at -589.0 eV for the cell shown. Its energy of formation is -1884.9 meV per atom.

---

[3]
Below is an optimized crystal structure of Li3Ti2Co3O10, with properties calculated at the PBE with a Hubbard U level.

Cell: 5.026 5.237 7.712 Å, 73.88 74.70 81.17°
Space group P-1 (No. 2)
Asymmetric unit:
Li: 0.000 0.000 0.000 x1
Li: 0.488 0.725 0.102 x2
Ti: 0.027 0.375 0.188 x2
Co: 0.015 0.190 0.607 x2
Co: 0.500 0.500 0.500 x1
O: 0.203 0.820 0.565 x2
O: 0.216 0.620 0.972 x2
O: 0.217 0.054 0.159 x2
O: 0.244 0.474 0.349 x2
O: 0.245 0.295 0.725 x2

Summary:
The calculation puts the magnetic moment at 5.197 μB/cell. The calculation puts the raw total energy at -119.8 eV for the cell shown. Its energy of formation is -2181.8 meV per atom.

---

[4]
Below is an optimized crystal structure of BaNa2V2CuO8, with properties calculated at the PBE with a Hubbard U level.

Cell: 9.500 5.853 14.191 Å, 90.00 93.51 90.00°
Space group C2/c (No. 15)
Asymmetric unit:
Ba: 0.000 0.128 0.250 x4
Na: 0.159 0.420 0.589 x8
V: 0.180 0.410 0.872 x8
Cu: 0.000 0.000 0.000 x4
O: 0.057 0.185 0.893 x8
O: 0.130 0.339 0.423 x8
O: 0.147 0.153 0.084 x8
O: 0.183 0.461 0.753 x8

Summary:
The calculation puts the magnetic moment at 4.003 μB/cell. The calculation puts the raw total energy at -361.2 eV for the cell shown. Its energy of formation is -2342.1 meV per atom.

---

It is found that the MP2020-corrected energy values, taken in the order of the records, are -7.1618; -7.7257; -7.3109; -7.0860 eV per atom.

* * * * *

[1]
Na2TlCuCl6 | GGA-PBE | optimized geometry

Results
The value obtained for the MP2020-corrected energy is -3.36 eV/atom. As for the magnetic moment: 0.00 μB/cell. The formation energy is -1.336 eV per atom.

Structure (POSCAR):
```
Na2TlCuCl6
1.0
0.000 5.114 5.114
Back to the entry:

I started with this cork board. I've had it for years, had actually spray painted it black about a year ago thinking I would use it if it were black, and not old worn out brown. Well, I finally got around to using it!  

But, I didn't want the whole thing black.  I considered Mod Podging some fabric to it. But, decided I would try a stencil first. Can you say FAIL? Back to the drawing board. Then, I remembered the roll of brown craft paper...yup, that's it. So, I painted the whole cork area with a good coat of Mod Podge. 

You can see my attempt at stenciling here, it doesn't look so bad in this pic, but that's because the worst of it is cut off. I had measured and cut a piece of the craft paper to fit inside the framed area. About this time, 6' Wonder came in and asked what I was doing. So, I recruited her to help. We laid the paper on the cork, and rubbed out as many of the air bubbles as we could. This paper is very thin, dollar store thin. So, it wrinkled on the Mod Podge. But, I actually like that. 

I let the bottom layer dry for a while, then brushed several coats of Mod Podge on top. I used the matte Mod Podge. 

 Left this to dry for a few hours and moved on to my computer. I typed out several entree items that we frequently eat, and the days of the week and printed them out on white cardstock. 

I also pulled out the clothespins and some decorative scrapbook paper. I cut little strips of the paper and used Elmer's Glue to glue the strips to the clothespins. 

Keep in mind, I haven't bought a single thing for this project at this point, so I'm well on track for keeping it F R E E. 

While the glue is drying, I start cutting out my cardstock prints. 

Once the Mod Podge had dried on the cork board, I felt like it needed some trimming. The paper still dried kinda wrinkly, but I'm ok with that. Gives it dimension and character. Yeah, that's my story, and I'm sticking to it. I plugged in the hot glue gun, and pulled out some burlap ribbon I had. I used the glue gun to glue the burlap ribbon around the edge, had exactly the right amount for this!

Then, I added some thin satin ribbon I had as well. I used some sparkly thumb tacks in the corners. 

A close up:

So far, I love it!  

Next, I used the glue gun to glue some plain thumb tacks to the backs of the clothespins. 

I needed something to hold my little entree cards in. I decided to try to cut the clear plastic box that my decorative thumb tacks had come in, and Mod Podge some scrapbook paper to it to decorate it. 


I just wrapped the paper around it kinda like a present, I just didn't cover the back since it will be pinned to the cork board. 

Then, I laid it all out on the cork board the way I wanted it to look, and started tacking things on. 

I printed out a shopping list too.  I find it's nice to have one posted somewhere so that everyone can write down items they want or need when they think of them. I clipped them on the board as well, and stuck a Sharpie in the box to use. 

I really, really like how it turned out. And, best of all it was F R E E!  I didn't have to buy anything to make it. SCORE!!  I keep working to get this family organized, and this is one step closer to my goal. Of course, by the time I reach my goal, 6' Wonder will be off playing basketball in college and it will just be me and the hubby so the need for organization won't be as great. But, oh well. I'm having fun doing it anyway. It took most of a Saturday in between doing other things around the house. Not too bad. 

So, how do you manage meal planning for your family? Any good recipes you wanna share?  

Saturday, August 30, 2014

DIY Concrete letter

I love, love the look of the rustic concrete letters, but the price?  Not so much. Being the DIYer that I am, I decided to make my own. I knew I'd need a form to pour the concrete into, but buying one of those was out of the question too!  This project had to be cheap, and by cheap, I mean FREE!  

I printed a large B from my computer, I used Franklin Gothic Demi font, it looked like a good, solid font with no curly cues or swirls, or little pieces that I thought might be hard for a first timer. I made mine about 8" tall and about 6" wide. I wanted it bigger, but then was reminded it will be made of concrete, so smaller may be better. 

I taped my printed letter onto a piece of cardboard (I used the bottom of a Mason jar box), and traced the B onto the cardboard by pressing firmly all the way around. 

Then, I removed the paper, and went back over the outline just to be sure I could see it well enough to cut it. You could trace your letter by any number of methods, this worked just fine. 

Next up, time to cut!  I started with my rotary cutter and shaved done the size of the cardboard I was working with just to make it easier. Cardboard is not easy to cut!  Then, I used scissors to cut the outer edges. For the little openings in the middle, I used my craft knife.  

Here it is, all cut out, ready to be the base of my concrete form. 

Once I had this base finished, I cut some narrow-1.5"-strips of the cardboard to use around the base to make a form. 

I used masking tape, you could use painters tape or whatever you have. The below pic is a little blurry, but shows you the bottom of the form once taped. I also used my hot glue gun to fill in cracks. I didn't want the concrete leaking through. 

My hubby mixed up some of this concrete we had left over from our deck re-do this summer according to the directions on the bag. 

I used this and it worked fine. My preference would've been to use a finer, less coarse, concrete mix. This has a lot of larger rocks in it as it's mean for things like post holes-which is why we bought it for the deck posts. So, if you're buying concrete I would suggest going with a finer mix. Once mixed, he scooped the concrete in to my form, filling it not quite to the top. If you try this, be sure to wiggle, tap, shake gently your form to get the concrete to settle evenly. Then, we set it outside to dry. 

After letting it sit for a little more than 24 hours, I just peeled the cardboard form off, very simple, the concrete hadn't stuck to it. You can see in the pic below, the form is still fairly intact after removing the concrete. 

The B had some rough edges on it, the cardboard was corrugated so it left some ripples on the outer edge. The good thing about this stuff is that it sands down very easily. So, I took a piece of coarse sandpaper and smoothed it down. 

This is after the first pass with the sandpaper. I love it!  I didn't want it too smooth or polished, I wanted a rustic look, after all, it is concrete. 

Close up view of the finished product. I'm so happy with how it turned out!

Have you ever worked with concrete/cement?  I'd love to see your work. 

Saturday, May 31, 2014

DIY Bug repellent

So, as I mentioned in my post for my DIY citronella candles, I use several different things to keep pesky critters away from me so I can enjoy my outdoor space sans bug bites. Along with my candles, I usually use some sort of bug repellant spray-Off, Skintastic, you know the kind. But again, the stuff is expensive. So, why not make my own-I can SO do that!

This is what I used:

Spray bottle-any you have on hand will do

Microwaveable cup/bowl



Witch hazel

Citronella essential oil

Lemongrass essential oil

Lavender essential oil

In a glass Pyrex measuring cup, I boiled not quite a cup of water in the microwave, then using a funnel, I poured it into my spray bottle until it was half full. Then, I added witch hazel til the bottle was just shy of full. Then, I added the essential oils-approximately 20 drops citronella, 10 drops lavender and 5 drops lemongrass. Give it a shake, and you're good to go. 

No. 1
VASP calculation (r²SCAN) on a relaxed CsMoF7 crystal.

Lattice parameters (Å, degrees): 10.559 10.559 10.559 90.00 90.00 90.00
Space group Pa-3 (No. 205)
Unique sites:
Cs 0.000 0.000 0.000 [4 per cell]
Cs 0.000 0.000 0.500 [4 per cell]
Mo 0.224 0.224 0.224 [8 per cell]
F 0.069 0.136 0.256 [24 per cell]
F 0.116 0.143 0.770 [24 per cell]
F 0.174 0.674 0.826 [8 per cell]

Results
crystal system	cubic

No. 2
VASP calculation (r²SCAN) on a relaxed Cs2NaTbF6 crystal.

Lattice parameters (Å, degrees): 9.013 9.013 9.013 90.00 90.00 90.00
Space group Fm-3m (No. 225)
Unique sites:
Cs 0.250 0.250 0.250 [8 per cell]
Na 0.000 0.000 0.000 [4 per cell]
Tb 0.000 0.000 0.500 [4 per cell]
F 0.000 0.000 0.257 [24 per cell]

Results
crystal system	cubic

No. 3
VASP calculation (r²SCAN) on a relaxed CsNbNiO2F4 crystal.

Lattice parameters (Å, degrees): 10.426 10.588 7.383 90.00 134.56 90.00
Space group C2 (No. 5)
Unique sites:
Cs 0.000 0.000 0.000 [2 per cell]
Cs 0.000 0.262 0.500 [2 per cell]
Nb 0.242 0.384 0.259 [4 per cell]
Ni 0.001 0.627 0.752 [4 per cell]
O 0.000 0.310 0.000 [2 per cell]
O 0.000 0.919 0.500 [2 per cell]
O 0.186 0.505 0.366 [4 per cell]
F 0.000 0.561 0.500 [2 per cell]
F 0.000 0.699 0.000 [2 per cell]
F 0.200 0.496 0.998 [4 per cell]
F 0.200 0.747 0.892 [4 per cell]
F 0.202 0.750 0.500 [4 per cell]

Results
crystal system	monoclinic

No. 4
VASP calculation (r²SCAN) on a relaxed Cs4Ni3F10 crystal.

Lattice parameters (Å, degrees): 6.135 14.401 13.693 90.00 90.00 90.00
Space group Cmce (No. 64)
Unique sites:
Cs 0.000 0.047 0.139 [8 per cell]
Cs 0.000 0.246 0.387 [8 per cell]
Ni 0.000 0.000 0.500 [4 per cell]
Ni 0.000 0.117 0.654 [8 per cell]
F 0.000 0.027 0.357 [8 per cell]
F 0.000 0.249 0.150 [8 per cell]
F 0.213 0.099 0.539 [16 per cell]
F 0.250 0.111 0.750 [8 per cell]

Results
crystal system	orthorhombic

No. 5
VASP calculation (r²SCAN) on a relaxed Cs2TiOF5 crystal.

Lattice parameters (Å, degrees): 9.633 9.303 8.095 90.00 90.00 90.00
Space group Cmcm (No. 63)
Unique sites:
Cs 0.249 0.249 0.250 [8 per cell]
Ti 0.000 0.500 0.000 [4 per cell]
O 0.000 0.008 0.750 [4 per cell]
F 0.000 0.301 0.000 [8 per cell]
F 0.000 0.499 0.250 [4 per cell]
F 0.195 0.500 0.000 [8 per cell]

Results
crystal system	orthorhombic

No. 6
VASP calculation (r²SCAN) on a relaxed CsPF6 crystal.

Lattice parameters (Å, degrees): 5.6223 5.6223 14.3976 90.00 90.00 120.00
Space group R-3m (No. 166, hexagonal axes)
Unique sites:
Cs 0.0000 0.0000 0.0000 [3 per cell]
P 0.0000 0.0000 0.5000 [3 per cell]
F 0.0613 0.5307 0.1019 [18 per cell]

Results
crystal system	trigonal

| no. | calculated total energy (eV/cell) |
| --- | --- |
| 1 | -786.7 |
| 2 | -558.5 |
| 3 | -444.0 |
| 4 | -848.4 |
| 5 | -441.7 |
| 6 | -230.2 |

Works as good as the store bought, and smells great!  You can use other essential oils, just domsome research on he properties of the different oils out there, and add any scent you like as well. 

Don't let pesky critters keep you from enjoying some quiet outdoor time, between DIY citronella candles, and DIY bug spray, you're all set to spend an evening bite-free. 

Friday, May 30, 2014

DIY Citronella candles

Living in the South, one thing is a given during the warm weather-Mosquitos!  We recently re-built our deck (that post coming soon), and love spending nice evenings sitting outside, but having mosquito repellent is a must!  I use lots of several different options to repel these pesky critters, Citronella candles being one of my favorite.  They smell wonderful, they provide just the right soft light, and they add a homey, decorative touch to our outdoor space. BUT-they can be costly! And, we are on a t-i-g-h-t budget.  So, being the DIYer that I am, I said "I can do that". So, I did. 

Next to the page, the page also holds materials data:
********
{"formula": "TbMgPd", "functional": "r²SCAN", "state": "relaxed", "dft_energy_ev_per_atom": -20.1485, "space_group": "P-62m", "cell": [[-3.832, -0.445, 6.355], [2.461, -6.192, -3.298], [3.468, 0.255, 2.109]], "species": ["Pd", "Tb", "Pd", "Mg", "Tb", "Mg", "Mg", "Tb", "Pd"], "frac_coords": [[0.000, 0.000, 0.000], [0.000, 0.588, 0.000], [0.667, 0.333, 0.500], [0.758, 0.758, 0.500], [0.588, 0.000, 0.000], [0.242, 0.000, 0.500], [0.000, 0.242, 0.500], [0.412, 0.412, 0.000], [0.333, 0.667, 0.500]]}

----------

Record 1
A geometry-optimized Li4Mn3P4O16 structure. Source: the Materials Project, functional GGA+U.

Cell lengths 7.5922, 7.6793, 11.4408 Å; angles 105.44, 105.07, 101.84 degrees
Last column: nearest neighbours and their distance in Å.
Space group P1 (No. 1)
Unique sites:
Li (0.0000, 0.0000, 0.0000) [1 per cell]  6 O 2.11-2.34
Li (0.0124, 0.2727, 0.7745) [1 per cell]  4 O 2.07-2.18
Li (0.2349, 0.7613, 0.5209) [1 per cell]  5 O 2.04-2.25
Li (0.4676, 0.5129, 0.9911) [1 per cell]  4 O 2.06-2.28
Li (0.4891, 0.5095, 0.5193) [1 per cell]  4 O 2.04-2.15
Li (0.5092, 0.7731, 0.7822) [1 per cell]  4 O 2.04-2.20
Li (0.7431, 0.2520, 0.9969) [1 per cell]  6 O 2.08-2.30
Li (0.7550, 0.2436, 0.5148) [1 per cell]  4 O 1.97-2.17
Mn (0.4666, 0.2268, 0.2258) [1 per cell]  6 O 2.06-2.22
Mn (0.4787, 0.2332, 0.7268) [1 per cell]  6 O 2.01-2.21
Mn (0.4930, 0.7564, 0.2841) [1 per cell]  6 O 2.03-2.22
Mn (0.9686, 0.7346, 0.2287) [1 per cell]  6 O 2.07-2.20
Mn (0.9739, 0.7373, 0.7319) [1 per cell]  6 O 2.00-2.20
Mn (0.9928, 0.2547, 0.2878) [1 per cell]  6 O 2.05-2.26
P (0.1226, 0.3831, 0.0999) [1 per cell]  4 O 1.53-1.59
P (0.1906, 0.4580, 0.6008) [1 per cell]  4 O 1.51-1.59
P (0.2712, 0.0369, 0.4122) [1 per cell]  4 O 1.52-1.60
P (0.3602, 0.1243, 0.9051) [1 per cell]  4 O 1.51-1.60
P (0.6214, 0.8855, 0.0982) [1 per cell]  4 O 1.51-1.60
P (0.6904, 0.9474, 0.5967) [1 per cell]  4 O 1.53-1.60
P (0.7708, 0.5324, 0.4097) [1 per cell]  4 O 1.51-1.59
P (0.8614, 0.6210, 0.9074) [1 per cell]  4 O 1.53-1.60
O (0.9997, 0.2645, 0.9610) [1 per cell]  1 P 1.53
O (0.0318, 0.3079, 0.6044) [1 per cell]  1 P 1.51
O (0.0649, 0.0299, 0.3317) [1 per cell]  1 P 1.58
O (0.1830, 0.4465, 0.4587) [1 per cell]  1 P 1.59
O (0.1865, 0.2407, 0.1692) [1 per cell]  1 P 1.59
O (0.1867, 0.6666, 0.6650) [1 per cell]  1 P 1.59
O (0.1917, 0.9713, 0.8961) [1 per cell]  1 P 1.51
O (0.2637, 0.8270, 0.3350) [1 per cell]  1 P 1.60
O (0.2845, 0.0425, 0.5485) [1 per cell]  1 P 1.52
O (0.2939, 0.5433, 0.1157) [1 per cell]  1 P 1.53
O (0.3029, 0.2641, 0.8309) [1 per cell]  1 P 1.60
O (0.3984, 0.4530, 0.6657) [1 per cell]  1 P 1.57
O (0.4265, 0.1907, 0.4046) [1 per cell]  1 P 1.53
O (0.4869, 0.2495, 0.0444) [1 per cell]  1 P 1.55
O (0.4922, 0.9570, 0.1767) [1 per cell]  1 P 1.58
O (0.4991, 0.0562, 0.8336) [1 per cell]  1 P 1.58
O (0.5102, 0.7670, 0.9593) [1 per cell]  1 P 1.51
O (0.5274, 0.7927, 0.5971) [1 per cell]  1 P 1.53
O (0.5615, 0.5273, 0.3333) [1 per cell]  1 P 1.59
********

What I used:

Soy wax flakes-I bought this 2lb bag at Hobby Lobby, $5 with my coupon. You can also find wax online at Amazon, Bulk Apothecary or any number of sites. 

Tin containers-I bought these at Dollar Tree, love, love, LOVE the color. You can use any container that is heat safe, Mason jars work great too. We have 3 big dogs who like to run and play, and inevitably they knock stuff over, so to be safe I prefer non-breakable containers. And, these were the perfect size and, did I mention I love the color?!?

Soy wax candle wicks w/ tabs-shop around, you can get these at craft stores or online, just make sure you get the right size wick for your container size-the package should have a chart, or the online site should have a chart. 

Essential oils-I used Citronella and lavender, both of which have mosquito repellant properties. You can also use lemongrass, tea tree and other oils for fragrance. Or, if you just want a scented candle, you can use any essential oil with or without pesky critter repelling properties. 

Wax melter-I got mine at Michaels, $10 with coupon, you can also use a double boiler or a metal bowl sitting on top of a small pot of boiling water. I like the wax melter because it has the handy pour spout. 

Wax color chips- I got mine at the Flaming Candle Company

Hot glue gun

Popsicle sticks and rubber bands

I start by putting wax flakes into the melter, I just guesstimated how much I neede-and came up short, but I'll explain that later. Turn the stove on low-mine was set on 3-4 to get the wax melted. You don't want it to get too hot, let it melt slowly, and stir frequently.  While the wax is melting, plug in your hot glue gun, and let it heat up. Keep stirring the wax!  Once your glue gun is ready, put a little on the bottom of your wick tab, and place the tab in the center of your container. Note: my containers are oval shaped, longer than wider.  I decided to use 2 wicks in these, just to be sure they would burn well. Press the wick tab down firmly to the bottom of your container-I used a Popsicle stock to do this. Now, let the glue dry, and go stir the wax some more.  

Once the wax is melted, turn the stove temp down, I turned mine all the way down to the lowest setting and add your wax color chips. I added 2 wax color chips, and stirred them into the wax as they melted, you use as many as you want for your desired color. Note-the color will lighten up as the wax cools. **Sidebar- when I first started trying my hand at making my own candles, I was brave and tried using crayons to color them. While they turned out very pretty, and I love the huge amount of color choices AND they are a super cheap option for coloring candles, I found that the candles did not burn very well. Now, I'm sure there is some chemistry involved here, probably some simple combination of ingredients that I could change. I'm thinking the melt point of the wax in the crayons is too different from the melt point of the soy wax, who knows, I'm no chemist. I'll keep playing around with the concept, but for now I broke down and bought some of the wax color chips**. Then turn the stove off but leave the melter on the eye. I put wax paper on the counter under my containers, you never know when you'll spill some, or some of the tin containers may not be completely sealed all the way around and may leak slightly. I do mean slightly, I found very thin rings of wax under my first ones, so l learned the hard way. It's an easy clean up, but y'all know the saying about an ounce of prevention. 

While the wax is cooling just a bit, you need to secure your wicks to make sure they stay straight when you pour the wax. There are all kinds of ways to do this, include fancy-smancy wick holders. But, I've found the 2 Popsicle sticks and 2 small rubber bands work just fine, plus I already had them on hand, lots of them. So, I'll explain the Popsicle stick/rubber band option. Place a small rubber band around 1 end of 2 Popsicle sticks stacked together. Then, using your finger, separate the 2 sticks and slide over the wick-don't worry about moving the wick, it's glued down, remember?  Move the sticks and wick until you have the wick centered straight, then gently put a second rubber band around the other end of the 2 sticks. If your container is too wide for Popsicle sticks, you can use chop sticks, skewers, silverware, you get the picture. 

This step will take only a few seconds, at least once you get used to it. When you're done, it's time to add the essential oils to the wax. I used 50 drops of Citronella oil, and 25 drops of lavender oil. Why so much, you ask?  It's just me. I like a strong scent. Most folks would say no more than 20 drops citronella and 10 drops lavender.  I march to the beat of my own drum, or as The 6' Wonder likes to say, "you're weird". Stir the scent in, then you're ready to pour your very own citronella candle. Note: keep track of the number of drops of each oil you use, it may come in handy a little later. 

Carefully, slowly, pour the melted wax into your container. Keep an eye on the wick watching for movement. Sometimes, the hot wax will melt the glue and it will come loose. Don't worry if it does, just center it again, stabilize it and let the small amount of wax you've poured already set for a little bit. If you have to do this, I recommend turning the stove back on low and set the melter back on it to keep it melted. If your wick stays in place, continue pouring until you fill the container almost to the top, I leave about a 1/4 inch space at the top of mine. Now, if you short pour, like me, just add some more wax to your melter, let it melt and repeat the stirring, coloring and scenting steps above, see I told ya to keep track of how many drops of the essential oils you used, I learned this the hard way too-notice the pattern? Once the wax melts, just pour it on top of what you've already poured. If I were using glass containers, this option could cause the candle to show lines and look imperfect.  To me, that's no problem, especially since I'm using tin containers. If you're using glass, and want perfection, you'll want to either a) do better than me at measuring the amount of wax you'll need or, b) reheat the original batch of wax with the additional wax so that it's all the same temp when you pour it. 

Now comes the hardest part-just sit back and wait!  These babies need to cool for at least 8 hours, or mine did, but these are fairly large candles. Just wait until the wax isn't soft, the container is cool, and it all looks solid. 

Once cooled, remove the Popsicle sticks, trim the wicks down to about a half inch, and then head out to your deck, patio, veranda, or balcony and enjoy a bug- free, or at least somewhat, evening. 

Night y'all!

ps remember how I said I use several different bug repelling options early in this post?  Well, check back in a few days and I'll show you how I made my own bug spray!